Problematic political promises always come back to bite
A doctor for every family is the latest doomed campaign promise

On September 11, 2013 Liberal Leader Stephen McNeil launched his party's election platform.
On page 14, in bold type, is the promise: "Ensure a doctor for every Nova Scotian."
Halfway through his first mandate, McNeil is 90,000 Nova Scotians shy of his mark.
Dr. John Ross — the man who advised the province on fixing emergency room closures, another perennial health-care problem — thinks this is a promise that cannot be kept, nor is it worth keeping.
Ross believes all Nova Scotians should have ready access to an appropriate health-care professional or team based on their needs, but a doctor isn't always the answer. Families should be able to see a dietician, a nurse, a nurse practitioner, a psychologist or even a pharmacist when they need help, he said.

This latest health care "crisis" comes as a result of complaints from doctors that they cannot practise where and when they want, and amidst growing frustration by families who cannot find a family doctor.
Both opposition parties are already calling this a broken election promise, despite the fact the Liberals could continue to govern until the fall of 2018, the very end of the current mandate.
But neither the New Democratic Party, nor the Progressive Conservatives are immune to making election promises beyond the power of government to fulfil or that actually make sense other than as a sop to voters during an election campaign.
NDP raised the HST 2%
== The text is interrupted by calculated crystals ==
┌──
Record 1
Na2Sm2NpO6: calculated XRD peak list (Cu Kα (λ = 1.5418 Å)), based on DFT lattice parameters and positions (PBE).
Neutral-atom scattering factors, no anomalous dispersion.

Atomic structure:
```
Na2Sm2NpO6
1.0
3.061 -5.313 0.000
3.061 5.313 0.000
-1.861 0.000 5.637
Na Sm Np O
2 2 1 6
Direct
0.165 0.835 0.000
0.835 0.165 0.000
0.334 0.666 0.500
0.666 0.334 0.500
0.000 0.000 0.500
0.048 0.383 0.700
0.242 0.242 0.302
0.383 0.048 0.700
0.617 0.952 0.300
0.758 0.758 0.698
0.952 0.617 0.300
```

Top 8 peaks for 10° ≤ 2θ ≤ 90°, most intense first:
Position (°2θ)	I_rel
15.72	100.0
35.91	45.1
29.53	36.8
31.19	33.6
51.74	22.7
36.81	21.1
31.75	18.5
29.85	18.5

Record 2
Na9TlAg4: calculated XRD peak list (Cu Kα (λ = 1.5418 Å)), based on DFT lattice parameters and positions (PBE).
Neutral-atom scattering factors, no anomalous dispersion.

Atomic structure:
```
Na9TlAg4
1.0
9.842 0.000 0.000
-4.921 8.523 0.000
0.000 0.000 9.284
Na Tl Ag
18 2 8
Direct
0.078 0.539 0.250
0.185 0.370 0.555
0.185 0.370 0.945
0.185 0.815 0.555
0.185 0.815 0.945
0.370 0.185 0.055
0.370 0.185 0.445
0.461 0.539 0.250
0.461 0.922 0.250
0.539 0.078 0.750
0.539 0.461 0.750
0.630 0.815 0.555
0.630 0.815 0.945
0.815 0.185 0.055
0.815 0.185 0.445
0.815 0.630 0.055
0.815 0.630 0.445
0.922 0.461 0.750
0.333 0.667 0.750
0.667 0.333 0.250
0.000 0.000 0.000
0.000 0.000 0.500
0.103 0.206 0.250
0.103 0.897 0.250
0.206 0.103 0.750
0.794 0.897 0.250
0.897 0.103 0.750
0.897 0.794 0.750
```

Top 8 peaks for 10° ≤ 2θ ≤ 90°, most intense first:
Position (°2θ)	I_rel
10.38	100.0
33.87	92.8
22.96	65.1
18.03	57.0
39.33	56.5
35.86	47.4
14.11	46.1
32.97	42.8

----------

Structure and computed powder XRD pattern of YNb4Se8 (a cell relaxed with GGA-PBE; Cu Kα, 1.54184 Å).
Intensities are scaled so that the largest is 100.

Most intense lines, 2θ = 10–90°, in order of rising 2θ:
2theta	I/Imax	hkl
12.7	33	0 0 3
29.3	9	0 2 1
33.8	100	0 2 4
45.6	42	2 0 8
51.4	30	2 2 0
52.7	9	0 0 12
63.0	16	4 0 4
71.1	11	0 4 8
76.7	17	2 2 12
85.5	13	2 4 4

Structure:
Unit cell a=7.1086 b=7.1086 c=20.8587 alpha=90.00 beta=90.00 gamma=120.00
Space group R-3m (No. 166, hexagonal axes)
Unique sites:
Y  0.0000  0.0000  0.0000 [3 per cell]
Nb  0.0000  0.0000  0.5000 [3 per cell]
Nb  0.0000  0.5000  0.5000 [9 per cell]
Se  0.0000  0.0000  0.2457 [6 per cell]
Se  0.0108  0.5054  0.2469 [18 per cell]

---

Structure and computed powder XRD pattern of Nb12ZnSe16 (a cell relaxed with GGA-PBE; Cu Kα, 1.54184 Å).
Intensities are scaled so that the largest is 100.

Most intense lines, 2θ = 10–90°, in order of rising 2θ:
2theta	I/Imax	hkl
10.1	89	0 1 0
30.5	22	0 3 0
32.8	37	2 0 1
36.8	57	0 4 -3
37.4	100	2 2 0
44.1	40	2 -2 3
47.3	22	0 1 4
52.4	19	2 3 1
65.9	19	4 1 -6
81.4	29	2 3 4

Structure:
Unit cell a=6.9648 b=10.1620 c=10.7383 alpha=118.23 beta=108.92 gamma=90.00
Space group P-1 (No. 2)
Unique sites:
Nb  0.0623  0.4868  0.3790 [2 per cell]
Nb  0.0726  0.3792  0.8923 [2 per cell]
Nb  0.1328  0.8919  0.5119 [2 per cell]
└──
In 2009, former NDP Leader Darrell Dexter campaigned on a promise to balance the budget without having to raise taxes.
Yet, less than a year later in the 2010 budget, the New Democrats raised the HST two per cent, claiming the province simply could not afford to give up hundreds of millions of dollars in revenue.
The federal Conservatives, under Stephen Harper, cut the federal portion of the HST twice — once in 2006 and once in 2008.
Nearly a decade earlier, in 1999, John Hamm won government for the PCs having campaigned on a platform stuffed with 243 promises, including balanced budgets, more spending on health, closing the money-losing Sydney Steel plant as well as tax cuts.
Once in government, the Progressive Conservatives didn't bother to track all those promises, given there were so many.
Liberals claimed budget was balanced
The Liberal in that race, former premier Russell MacLellan's minority government had gone down to defeat just weeks previously, after introducing a budget that the Liberals claimed was balanced, despite a commitment to spend $600 million to "transform" the health system over four years.
That money was tucked away in a health investment fund.
The pre-election ploy was roundly denounced and Hamm and his Tory team defeated the bogus balanced budget, triggering the election.
While the man heading the current Liberal government, McNeil, maintains his doctor for every Nova Scotian promise is reasonable and doable, it's hard not to question — as Ross does — the value of living up to that campaign promise.
The government often points to the fact Nova Scotia has the highest number of doctors, per capita in Canada. That would tend to suggest the answer may lie elsewhere than adding more doctors to the mix.
It also points to the need for health decisions to come from those who can make evidence-based decisions rather than political ones.